Tech experts outline the four ways AI could spiral into worldwide catastrophes

Tech experts, Silicon Valley billionaires and everyday Americans have voiced their concerns that artificial intelligence could spiral out of control and lead to the downfall of humanity. Now, researchers at the Center for AI Safety have detailed exactly what “catastrophic” risks AI poses to the world.

“The world as we know it is not normal,” researchers with the Center for AI Safety (CAIS) wrote in a recent paper titled “An Overview of Catastrophic AI Risks.” “We take for granted that we can talk instantaneously with people thousands of miles away, fly to the other side of the world in less than a day, and access vast mountains of accumulated knowledge on devices we carry around in our pockets.” 

That reality would’ve been “inconceivable” to people centuries ago and remained far-fetched even a few decades back, the paper stated. A pattern in history has emerged of “accelerating development,” the researchers noted.

“Hundreds of thousands of years elapsed between the time Homo sapiens appeared on Earth and the agricultural revolution,” the researchers continued. “Then, thousands of years passed before the industrial revolution. Now, just centuries later, the artificial intelligence (AI) revolution is beginning. The march of history is not constant—it is rapidly accelerating.”

CAIS is a tech nonprofit that works to reduce “societal-scale risks associated with AI by conducting safety research, building the field of AI safety researchers, and advocating for safety standards,” while also acknowledging artificial intelligence has the power to benefit the world.


The CAIS leaders behind the study, including the nonprofit’s director Dan Hendrycks, broke down four categories encapsulating the main sources of catastrophic AI risks, which include: malicious use, the AI race itself, organizational risks and rogue AIs.

As with all powerful technologies, AI must be handled with great responsibility to manage the risks and harness its potential for the betterment of society,” Hendrycks and his colleagues Mantas Mazeika and Thomas Woodside wrote. “However, there is limited accessible information on how catastrophic or existential AI risks might transpire or be addressed.”


The study from the CAIS experts defines malicious use of AI as when a bad actor uses the technology to cause “widespread harm,” such as through bioterrorism, misinformation and propaganda, or the “deliberate dissemination of uncontrolled AI agents.”

The researchers pointed to an incident in Japan in 1995 when the doomsday cult Aum Shinrikyo spread an odorless and colorless liquid on subway cars in Tokyo. The liquid ultimately killed 13 people and injured 5,800 other people in the cult’s effort to jumpstart the end of the world.

Fast-forward nearly 30 years, AI could potentially be used to create a bioweapon that could have devastating effects on humanity if a bad actor gets their hands on the technology. The CAIS researchers floated a hypothetical where a research team open sources an “AI system with biological research capabilities” that is intended to save lives, but could actually be repurposed by bad actors to create a bioweapon. 


“In situations like this, the outcome may be determined by the least risk-averse research group. If only one research group thinks the benefits outweigh the risks, it could act unilaterally, deciding the outcome even if most others don’t agree. And if they are wrong and someone does decide to develop a bioweapon, it would be too late to reverse course,” the study states.

Malicious use could entail bad actors creating bioengineered pandemics, using AI to create new and more powerful chemical and biological weapons, or even unleashing “rogue AI” systems trained to upend life.

“To reduce these risks, we suggest improving biosecurity, restricting access to the most dangerous AI models, and holding AI developers legally liable for damages caused by their AI systems,” the researchers suggest.

Compound: InCo2PbF8
Source: Alexandria via LeMat-Bulk
Functional: PBE with a Hubbard U
Structure: relaxed

Computed properties:
space-group type: No. 2
E: -4.749 eV per atom
V: 14.9 Å³/atom

Unit cell a=4.023 b=5.386 c=8.348 alpha=84.14 beta=89.35 gamma=82.34
Atoms (fractional coordinates):
In (0.000, 0.000, 0.000)
Co (0.431, 0.454, 0.202)
Co (0.569, 0.546, 0.798)
Pb (0.000, 0.000, 0.500)
F (0.063, 0.692, 0.799)
F (0.126, 0.766, 0.253)
F (0.448, 0.263, 0.419)
F (0.448, 0.264, 0.991)
F (0.552, 0.736, 0.009)
F (0.552, 0.737, 0.581)
F (0.874, 0.234, 0.747)
F (0.937, 0.308, 0.201)


# 1
# Nd5ScTl3 (GGA-PBE, optimized geometry)
data_Nd5ScTl3
_space_group_name_H-M_alt 'P 63/m c m'
_space_group_IT_number 193
_space_group_name_Hall '-P 6c 2'
_cell_length_a 9.5924
_cell_length_b 9.5924
_cell_length_c 6.8079
_cell_angle_alpha 90.00
_cell_angle_beta 90.00
_cell_angle_gamma 120.00
loop_
_atom_site_label
_atom_site_type_symbol
_atom_site_fract_x
_atom_site_fract_y
_atom_site_fract_z
_atom_site_occupancy
Nd1 Nd 0.0000 0.3249 0.2500 1
Nd2 Nd 0.3333 0.6667 0.0000 1
Sc1 Sc 0.0000 0.0000 0.0000 1
Tl1 Tl 0.0000 0.3346 0.7500 1
# - DFT formation energy: -0.25 eV per atom



# 2
# ZnRePd (GGA-PBE, optimized geometry)
data_ZnRePd
_space_group_name_H-M_alt 'C 1 m 1'
_space_group_IT_number 8
_space_group_name_Hall 'C -2y'
_cell_length_a 9.4241
_cell_length_b 2.7960
_cell_length_c 7.3353
_cell_angle_alpha 90.00
_cell_angle_beta 113.53
_cell_angle_gamma 90.00
loop_
_atom_site_label
_atom_site_type_symbol
_atom_site_fract_x
_atom_site_fract_y
_atom_site_fract_z
_atom_site_occupancy
Zn1 Zn 0.0000 0.0000 0.0000 1
Zn2 Zn 0.1428 0.5000 0.8119 1
Re1 Re 0.3244 0.0000 0.1510 1
Re2 Re 0.4662 0.5000 0.4675 1
Pd1 Pd 0.1540 0.5000 0.3298 1
Pd2 Pd 0.3244 0.0000 0.6825 1
# - Excess energy over the best structure of this formula in the dataset: 42 meV per atom
# - DFT formation energy: 0.05 eV per atom



# 3
# LiEr3Cd4 (GGA-PBE, optimized geometry)
data_LiEr3Cd4
_space_group_name_H-M_alt 'P 4/m m m'
_space_group_IT_number 123
_space_group_name_Hall '-P 4 2'
_cell_length_a 3.6319
_cell_length_b 3.6319
_cell_length_c 14.6363
_cell_angle_alpha 90.00
_cell_angle_beta 90.00
_cell_angle_gamma 90.00
loop_
_atom_site_label
_atom_site_type_symbol
_atom_site_fract_x
_atom_site_fract_y
_atom_site_fract_z
_atom_site_occupancy
Li1 Li 0.0000 0.0000 0.0000 1
Er1 Er 0.0000 0.0000 0.2415 1
Er2 Er 0.0000 0.0000 0.5000 1
Cd1 Cd 0.5000 0.5000 0.1080 1
Cd2 Cd 0.5000 0.5000 0.3711 1
# - DFT formation energy: -0.29 eV per atom



# 4
# Pu3Ga3Ge2 (GGA-PBE, optimized geometry)
data_Pu3Ga3Ge2
_space_group_name_H-M_alt 'C m c m'
_space_group_IT_number 63
_space_group_name_Hall '-C 2c 2'
_cell_length_a 4.4382
_cell_length_b 10.6357
_cell_length_c 14.5251
_cell_angle_alpha 90.00
_cell_angle_beta 90.00
_cell_angle_gamma 90.00
loop_
_atom_site_label
_atom_site_type_symbol
_atom_site_fract_x
_atom_site_fract_y
_atom_site_fract_z
_atom_site_occupancy
Pu1 Pu 0.0000 0.0656 0.1079 1
Pu2 Pu 0.0000 0.3293 0.2500 1

The researchers define the AI race as competition potentially spurring governments and corporations to “rush the development of AIs and cede control to AI systems,” comparing the race to the Cold War when the U.S. and Soviet Union sprinted to build nuclear weapons.

“The immense potential of AIs has created competitive pressures among global players contending for power and influence. This ‘AI race’ is driven by nations and corporations who feel they must rapidly build and deploy AIs to secure their positions and survive. By failing to properly prioritize global risks, this dynamic makes it more likely that AI development will produce dangerous outcomes,” the research paper outlines.

In the military, the AI race could translate to “more destructive wars, the possibility of accidental usage or loss of control, and the prospect of malicious actors co-opting these technologies for their own purpose” as AI gains traction as a useful military weapon.


Lethal autonomous weapons, for example, can kill a target without human intervention while streamlining accuracy and decision-making time. The weapons could become superior to humans and militaries could delegate life-or-death situations to the AI systems, according to the researchers, which could escalate the likelihood of war.

“Although walking, shooting robots have yet to replace soldiers on the battlefield, technologies are converging in ways that may make this possible in the near future,” the researchers explained.

“Sending troops into battle is a grave decision that leaders do not make lightly. But autonomous weapons would allow an aggressive nation to launch attacks without endangering the lives of its own soldiers and thus face less domestic scrutiny,” they added, arguing that if political leaders no longer need to take responsibility for human soldiers returning home in body bags, nations could see an increase in the likelihood of war.

Artificial intelligence could also open the floodgates to more accurate and fast cyberattacks that could decimate infrastructure or even spark a war between nations. 

“To reduce risks from an AI race, we suggest implementing safety regulations, international coordination, and public control of general-purpose AIs,” the paper suggests to help prevent such outcomes.

The researchers behind the paper say labs and research teams building AI systems “could suffer catastrophic accidents, particularly if they do not have a strong safety culture.”

“AIs could be accidentally leaked to the public or stolen by malicious actors. Organizations could fail to invest in safety research, lack understanding of how to reliably improve AI safety faster than general AI capabilities, or suppress internal concerns about AI risks,” researchers wrote.

They compared the AI organizations to disasters throughout history such as Chernobyl, Three Mile Island and the fatal Challenger Space Shuttle incident.


“As we progress in developing advanced AI systems, it is crucial to remember that these systems are not immune to catastrophic accidents. An essential factor in preventing accidents and maintaining low levels of risk lies in the organizations responsible for these technologies,” the researchers wrote. 

The researchers argue that even in the absence of bad actors or competitive pressure, AI could have catastrophic effects on humanity due to human error alone. In the case of the Challenger or Chernobyl, there was already well established knowledge on rocketry and nuclear reactors when chaos struck, but AI in comparison is far less understood.

“AI lacks a comprehensive theoretical understanding, and its inner workings remain a mystery even to those who create it. This presents an added challenge of controlling and ensuring the safety of a technology that we do not yet fully comprehend,” the researchers argued.

AI accidents would not only be potentially catastrophic, but also hard to avoid. 

The researchers pointed to an incident at OpenAI, the AI lab behind ChatGPT, where an AI system was trained to produce uplifting responses to users, but human error led the system to produce “hate-filled and sexually explicit text overnight.” Bad actors who hack a system or a leak of an AI system could also pave the way for catastrophe as malicious entities reconfigure the systems beyond the original creator’s intentions. 

History has also shown that inventors and scientists often underestimate how quickly technological advances actually become a reality, such as the Wright brothers predicting powered flight was 50 years down the road, when they actually achieved this win two years of their prediction.

“Rapid and unpredictable evolution of AI capabilities presents a significant challenge for preventing accidents. After all, it is difficult to control something if we don’t even know what it can do or how far it may exceed our expectations,” the researchers explained.

The researchers suggest that organizations establish better cultures and structures to reduce such risks, such as through “internal and external audits, multiple layers of defense against risks, and military-grade information security.”

One of the most common concerns with artificial intelligence since the proliferation of the tech in recent years is that humans could lose control and computers overpower human intelligence


“If an AI system is more intelligent than we are, and if we are unable to steer it in a beneficial direction, this would constitute a loss of control that could have severe consequences. AI control is a more technical problem than those presented in the previous sections,” the researchers wrote.

Humans could lose control through “proxy gaming,” when humans give an AI system an approximate goal that “that initially seems to correlate with the ideal goal,” but the AI systems “end up exploiting this proxy in ways that diverge from the idealized goal or even lead to negative outcomes.”

Researchers cited an example from the Soviet Union when authorities began measuring nail factories’ performances based on how many nails a factory was able to produce. To exceed or meet expectations, factories began mass producing tiny nails that were essentially useless due to their size.

“The authorities tried to remedy the situation by shifting focus to the weight of nails produced. Yet, soon after, the factories began to produce giant nails that were just as useless, but gave them a good score on paper. In both cases, the factories learned to game the proxy goal they were given, while completely failing to fulfill their intended purpose,” the researchers explained.

Researchers suggest that companies not deploy AI systems with open-ended goals like “make as much money as possible,” and supporting AI safety research that can hash out in-the-weeds research to prevent catastrophes.

“These dangers warrant serious concern. Currently, very few people are working on AI risk reduction. We do not yet know how to control highly advanced AI systems, and existing control methods are already proving inadequate… As AI capabilities continue to grow at an unprecedented rate, they could surpass human intelligence in nearly all respects relatively soon, creating a pressing need to manage the potential risks,” the researchers wrote in their conclusion. 

There is, however, “many courses of action we can take to substantially reduce these risks” as outlined in the report.